Source
/*
A geometry-optimized CrC8N6 structure. Source: the Alexandria database, functional PBE.

a = 7.330 Å, b = 7.330 Å, c = 5.669 Å
α = 90.00°, β = 90.00°, γ = 120.00°
Positions (direct):
Cr: 0.000 0.000 0.000
C: 0.223 0.447 0.224
C: 0.223 0.777 0.224
C: 0.333 0.667 0.249
C: 0.447 0.223 0.776
C: 0.553 0.777 0.224
C: 0.667 0.333 0.751
C: 0.777 0.223 0.776
C: 0.777 0.553 0.776
N: 0.132 0.265 0.187
N: 0.132 0.868 0.187
N: 0.265 0.132 0.813
N: 0.735 0.868 0.187
N: 0.868 0.132 0.813
N: 0.868 0.735 0.813

V, Å³ per atom: 17.584
Space group: P-3m1



A geometry-optimized Cr4CN2 structure. Source: the Alexandria database, functional PBE.

a = 5.767 Å, b = 5.767 Å, c = 5.767 Å
α = 141.86°, β = 141.86°, γ = 55.04°
Positions (direct):
Cr: 0.000 0.500 0.500
Cr: 0.203 0.203 0.000
Cr: 0.500 0.000 0.500
Cr: 0.797 0.797 0.000
C: 0.000 0.000 0.000
N: 0.385 0.385 0.000
N: 0.615 0.615 0.000

Energy relative to the lowest polymorph listed for this composition, meV/atom: 575
V, Å³ per atom: 10.376
Space group: I4/mmm



A geometry-optimized Cr2CN structure. Source: the Alexandria database, functional PBE.

a = 5.063 Å, b = 5.063 Å, c = 5.063 Å
α = 33.28°, β = 33.28°, γ = 33.28°
Positions (direct):
Cr: 0.247 0.247 0.247
Cr: 0.753 0.753 0.753
C: 0.500 0.500 0.500
N: 0.000 0.000 0.000

Energy relative to the lowest polymorph listed for this composition, meV/atom: 103
V, Å³ per atom: 8.699
Space group: R-3m



A geometry-optimized CrCN structure. Source: the Alexandria database, functional PBE.

a = 2.706 Å, b = 2.706 Å, c = 3.870 Å
α = 90.00°, β = 90.00°, γ = 120.00°
Positions (direct):
Cr: 0.000 0.000 0.000
C: 0.667 0.333 0.344
N: 0.667 0.333 0.682

Energy relative to the lowest polymorph listed for this composition, meV/atom: 10
V, Å³ per atom: 8.183
Space group: P3m1



A geometry-optimized CrCN structure. Source: the Alexandria database, functional PBE.

a = 2.575 Å, b = 3.918 Å, c = 3.918 Å
α = 41.01°, β = 90.00°, γ = 90.00°
Positions (direct):
Cr: 0.000 0.000 0.000
C: 0.500 0.371 0.371
N: 0.500 0.191 0.191

Energy relative to the lowest polymorph listed for this composition, meV/atom: 154
V, Å³ per atom: 8.648
Space group: Amm2



A geometry-optimized CrCN structure. Source: the Alexandria database, functional PBE.

a = 2.663 Å, b = 3.285 Å, c = 3.444 Å
α = 80.22°, β = 67.33°, γ = 89.99°
Positions (direct):
Cr: 0.000 0.000 0.000
C: 0.698 0.783 0.598
N: 0.543 0.463 0.913

Energy relative to the lowest polymorph listed for this composition, meV/atom: 342
V, Å³ per atom: 9.108
Space group: P1



A geometry-optimized CrCN structure. Source: the Alexandria database, functional PBE.

a = 4.167 Å, b = 4.167 Å, c = 4.167 Å
α = 37.97°, β = 37.97°, γ = 37.97°
Positions (direct):
Cr: 0.000 0.000 0.000
C: 0.448 0.448 0.448
N: 0.561 0.561 0.561

Energy relative to the lowest polymorph listed for this composition, meV/atom: 0
V, Å³ per atom: 8.188
Space group: R3m



A geometry-optimized CrCN structure. Source: the Alexandria database, functional PBE.

a = 3.487 Å, b = 3.487 Å, c = 4.462 Å
α = 128.16°, β = 128.16°, γ = 51.12°
Positions (direct):
Cr: 0.000 0.000 0.000
C: 0.768 0.768 0.133
N: 0.757 0.757 0.419

Energy relative to the lowest polymorph listed for this composition, meV/atom: 327
V, Å³ per atom: 10.259
Space group: Cm



Calculated ΔE_f (raw), 358.4, 413.1, -91.3, 45.5, 189.6, 377.7, 35.3, 362.2 meV per atom (same order as the records).
Calculated DFT total energy, -127.990, -61.476, -37.161, -27.036, -26.604, -26.040, -27.067, -26.086 eV for the cell shown (same order as the records).

=====

This record from Alexandria via LeMat-Bulk describes crystalline CeCo2As2 at its relaxed geometry. The functional is PBE.

Cell lengths 7.855, 6.710, 5.687 Å; angles 78.15, 56.73, 45.12 degrees
Fractional positions:
1 Ce 0.125 0.125 0.125
2 Ce 0.875 0.875 0.875
3 Co 0.268 0.268 0.482
4 Co 0.482 0.482 0.268
5 Co 0.518 0.518 0.732
6 Co 0.732 0.732 0.518
7 As 0.182 0.568 0.182
8 As 0.432 0.818 0.432
9 As 0.568 0.182 0.568
10 As 0.818 0.432 0.818

Results
*/
Work order
Next, return everything further up without additions.
Solution
A geometry-optimized CrC8N6 structure. Source: the Alexandria database, functional PBE.

a = 7.330 Å, b = 7.330 Å, c = 5.669 Å
α = 90.00°, β = 90.00°, γ = 120.00°
Positions (direct):
Cr: 0.000 0.000 0.000
C: 0.223 0.447 0.224
C: 0.223 0.777 0.224
C: 0.333 0.667 0.249
C: 0.447 0.223 0.776
C: 0.553 0.777 0.224
C: 0.667 0.333 0.751
C: 0.777 0.223 0.776
C: 0.777 0.553 0.776
N: 0.132 0.265 0.187
N: 0.132 0.868 0.187
N: 0.265 0.132 0.813
N: 0.735 0.868 0.187
N: 0.868 0.132 0.813
N: 0.868 0.735 0.813

V, Å³ per atom: 17.584
Space group: P-3m1



A geometry-optimized Cr4CN2 structure. Source: the Alexandria database, functional PBE.

a = 5.767 Å, b = 5.767 Å, c = 5.767 Å
α = 141.86°, β = 141.86°, γ = 55.04°
Positions (direct):
Cr: 0.000 0.500 0.500
Cr: 0.203 0.203 0.000
Cr: 0.500 0.000 0.500
Cr: 0.797 0.797 0.000
C: 0.000 0.000 0.000
N: 0.385 0.385 0.000
N: 0.615 0.615 0.000

Energy relative to the lowest polymorph listed for this composition, meV/atom: 575
V, Å³ per atom: 10.376
Space group: I4/mmm



A geometry-optimized Cr2CN structure. Source: the Alexandria database, functional PBE.

a = 5.063 Å, b = 5.063 Å, c = 5.063 Å
α = 33.28°, β = 33.28°, γ = 33.28°
Positions (direct):
Cr: 0.247 0.247 0.247
Cr: 0.753 0.753 0.753
C: 0.500 0.500 0.500
N: 0.000 0.000 0.000

Energy relative to the lowest polymorph listed for this composition, meV/atom: 103
V, Å³ per atom: 8.699
Space group: R-3m



A geometry-optimized CrCN structure. Source: the Alexandria database, functional PBE.

a = 2.706 Å, b = 2.706 Å, c = 3.870 Å
α = 90.00°, β = 90.00°, γ = 120.00°
Positions (direct):
Cr: 0.000 0.000 0.000
C: 0.667 0.333 0.344
N: 0.667 0.333 0.682

Energy relative to the lowest polymorph listed for this composition, meV/atom: 10
V, Å³ per atom: 8.183
Space group: P3m1



A geometry-optimized CrCN structure. Source: the Alexandria database, functional PBE.

a = 2.575 Å, b = 3.918 Å, c = 3.918 Å
α = 41.01°, β = 90.00°, γ = 90.00°
Positions (direct):
Cr: 0.000 0.000 0.000
C: 0.500 0.371 0.371
N: 0.500 0.191 0.191

Energy relative to the lowest polymorph listed for this composition, meV/atom: 154
V, Å³ per atom: 8.648
Space group: Amm2



A geometry-optimized CrCN structure. Source: the Alexandria database, functional PBE.

a = 2.663 Å, b = 3.285 Å, c = 3.444 Å
α = 80.22°, β = 67.33°, γ = 89.99°
Positions (direct):
Cr: 0.000 0.000 0.000
C: 0.698 0.783 0.598
N: 0.543 0.463 0.913

Energy relative to the lowest polymorph listed for this composition, meV/atom: 342
V, Å³ per atom: 9.108
Space group: P1



A geometry-optimized CrCN structure. Source: the Alexandria database, functional PBE.

a = 4.167 Å, b = 4.167 Å, c = 4.167 Å
α = 37.97°, β = 37.97°, γ = 37.97°
Positions (direct):
Cr: 0.000 0.000 0.000
C: 0.448 0.448 0.448
N: 0.561 0.561 0.561

Energy relative to the lowest polymorph listed for this composition, meV/atom: 0
V, Å³ per atom: 8.188
Space group: R3m



A geometry-optimized CrCN structure. Source: the Alexandria database, functional PBE.

a = 3.487 Å, b = 3.487 Å, c = 4.462 Å
α = 128.16°, β = 128.16°, γ = 51.12°
Positions (direct):
Cr: 0.000 0.000 0.000
C: 0.768 0.768 0.133
N: 0.757 0.757 0.419

Energy relative to the lowest polymorph listed for this composition, meV/atom: 327
V, Å³ per atom: 10.259
Space group: Cm



Calculated ΔE_f (raw), 358.4, 413.1, -91.3, 45.5, 189.6, 377.7, 35.3, 362.2 meV per atom (same order as the records).
Calculated DFT total energy, -127.990, -61.476, -37.161, -27.036, -26.604, -26.040, -27.067, -26.086 eV for the cell shown (same order as the records).

=====

This record from Alexandria via LeMat-Bulk describes crystalline CeCo2As2 at its relaxed geometry. The functional is PBE.

Cell lengths 7.855, 6.710, 5.687 Å; angles 78.15, 56.73, 45.12 degrees
Fractional positions:
1 Ce 0.125 0.125 0.125
2 Ce 0.875 0.875 0.875
3 Co 0.268 0.268 0.482
4 Co 0.482 0.482 0.268
5 Co 0.518 0.518 0.732
6 Co 0.732 0.732 0.518
7 As 0.182 0.568 0.182
8 As 0.432 0.818 0.432
9 As 0.568 0.182 0.568
10 As 0.818 0.432 0.818

Results